Input:
/*
No. 1
C18H20MoN4O7 as an isolated structure at a distorted geometry. Source: the Open Molecules 2025 dataset; level of theory: ωB97M-V/def2-TZVPD.

Geometry as XYZ:
```
50
Properties=species:S:1:pos:R:3
Mo 0.7534 0.5756 -1.5853
O -1.2660 1.3970 -2.4471
C -1.6411 2.7750 -2.2455
C -1.2282 3.0767 -0.8357
N 0.2332 2.8336 -0.6425
C 0.5673 2.8342 0.7917
C 0.8662 1.4435 1.2893
O 0.9327 1.0471 2.3866
O 1.1804 0.5869 0.1948
C 1.0477 3.7822 -1.4238
C 1.3034 3.2711 -2.8232
O 1.5426 3.8570 -3.8054
O 1.2791 1.8498 -2.7988
H -1.6810 1.0305 -3.2412
H -2.7213 2.8814 -2.3434
H -1.1675 3.4121 -2.9944
H -1.7609 2.4126 -0.1529
H -1.4748 4.1094 -0.5753
H -0.2444 3.2382 1.3960
H 1.4542 3.4395 0.9851
H 2.0265 3.8957 -0.9544
H 0.5817 4.7671 -1.4853
C -1.4781 -2.0908 4.7621
C -1.1935 -2.1070 3.2884
C -2.0840 -1.5136 2.3923
C -1.8624 -1.5148 1.0292
C -2.9556 -0.9991 0.1257
C -0.6904 -2.1484 0.5617
C 0.2135 -2.7900 1.4307
C 1.4529 -3.5038 0.9600
C -0.0636 -2.7412 2.7879
C -0.3104 -2.1519 -0.8339
O 0.1898 -2.8896 -1.5768
O -0.4959 -0.6763 -1.4847
H -1.8424 -1.1141 5.0791
H -0.5943 -2.3425 5.3439
H -2.2549 -2.8202 4.9997
H -2.9934 -1.0645 2.7744
H -3.6268 -0.3499 0.6854
H -3.5546 -1.8339 -0.2448
H -2.5998 -0.4544 -0.7459
H 2.0806 -2.8650 0.3335
H 1.2043 -4.3880 0.3731
H 2.0479 -3.8156 1.8141
H 0.6231 -3.2191 3.4752
N 5.9858 -2.9085 -3.7137
C 5.0391 -2.4770 -3.2271
N 3.9488 -1.9807 -2.6672
C 3.0888 -1.2392 -2.3860
N 2.1425 -0.5171 -2.0255
```

- Total charge: +2
- LUMO level: -0.3482 Ha
- DFT total energy: -41121.61453 eV
- ΔE to the lowest compared entry with this formula, charge and spin: 141.65 kJ/mol
- HOMO: -0.545 hartree
- Orbital gap: 5.36 eV

***

No. 2
C18H20N2O2RuS as an isolated structure at a distorted geometry. Source: the Open Molecules 2025 dataset; level of theory: ωB97M-V/def2-TZVPD.

Geometry as XYZ:
```
44
Properties=species:S:1:pos:R:3
Ru -0.4146 0.0569 0.0720
O -0.8400 0.1074 2.0053
C -1.0480 1.1559 2.7592
C -1.0557 0.9711 4.1592
C -1.3456 2.0086 5.0010
C -1.6465 3.2920 4.4995
C -1.6170 3.5044 3.1543
C -1.2911 2.4620 2.2496
C -1.2538 2.7803 0.8660
N -0.8551 1.9946 -0.0839
C -0.9959 2.4211 -1.4914
C -0.0477 1.5922 -2.3523
N -0.1155 0.1923 -1.9010
C 0.0777 -0.7778 -2.7301
C 0.0011 -2.1687 -2.4163
C 0.1579 -3.0852 -3.4845
C 0.0226 -4.4293 -3.2961
C -0.2916 -4.9132 -2.0121
C -0.4355 -4.0594 -0.9512
C -0.2761 -2.6678 -1.1142
O -0.3720 -1.9144 -0.0440
H -0.8429 -0.0213 4.5329
H -1.3482 1.8379 6.0700
H -1.8999 4.0977 5.1741
H -1.8386 4.4883 2.7566
H -1.5779 3.7841 0.5874
H -0.7899 3.4863 -1.6010
H -2.0222 2.2325 -1.8118
H 0.9743 1.9552 -2.2222
H -0.3133 1.6793 -3.4063
H 0.2928 -0.5228 -3.7691
H 0.3736 -2.6977 -4.4740
H 0.1508 -5.1132 -4.1231
H -0.4246 -5.9764 -1.8571
H -0.6723 -4.4224 0.0402
C 2.3432 -1.6477 0.5544
S 1.8384 0.0408 0.9141
C 2.8677 0.9156 -0.2712
H 3.3839 -1.7647 0.8542
H 2.2217 -1.8652 -0.5039
H 1.7086 -2.3019 1.1447
H 2.6949 0.5395 -1.2774
H 3.9115 0.7818 0.0078
H 2.6110 1.9713 -0.2081
```

- Total charge: +1
- <S²>: 0.779
- LUMO level (spin up / spin down): -0.1558 / -0.1664 Ha
- DFT total energy: -39477.66112 eV
- ΔE to the lowest compared entry with this formula, charge and spin: 0.00 kJ/mol
- Spin multiplicity: 2
- HOMO (spin up / spin down): -0.399 / -0.404 hartree
- Orbital gap (spin up / spin down): 6.62 / 6.46 eV

***

No. 3
One molecule with the formula C18H20N2O5 at a distorted geometry. Source: the Open Molecules 2025 dataset; level of theory: ωB97M-V/def2-TZVPD.

Geometry as XYZ:
```
45
Properties=species:S:1:pos:R:3
O -2.5245 -0.9089 -2.3572
C -2.0482 -0.6130 -1.2699
C -0.6764 -0.0680 -1.2411
C 0.1511 0.0328 -2.3316
C 1.3338 0.6592 -1.8885
C 1.1525 0.9054 -0.5581
C 2.0490 1.5421 0.4575
O 3.4143 1.3032 0.1965
C 3.9010 0.0512 0.2489
C 3.1677 -1.0753 0.6262
C 3.7635 -2.3201 0.6967
C 5.1098 -2.4845 0.4082
C 5.8553 -1.3856 0.0381
C 5.2640 -0.1306 -0.0539
N 6.0923 0.9670 -0.4817
O 5.5672 1.9320 -0.9879
O 7.2904 0.8398 -0.3251
O -0.0570 0.4657 -0.1551
N -2.7455 -0.7951 -0.1230
C -2.3203 -0.4537 1.2124
*/
Request:
Your job: copy all of the notes further up character by character.
Here it is:
No. 1
C18H20MoN4O7 as an isolated structure at a distorted geometry. Source: the Open Molecules 2025 dataset; level of theory: ωB97M-V/def2-TZVPD.

Geometry as XYZ:
```
50
Properties=species:S:1:pos:R:3
Mo 0.7534 0.5756 -1.5853
O -1.2660 1.3970 -2.4471
C -1.6411 2.7750 -2.2455
C -1.2282 3.0767 -0.8357
N 0.2332 2.8336 -0.6425
C 0.5673 2.8342 0.7917
C 0.8662 1.4435 1.2893
O 0.9327 1.0471 2.3866
O 1.1804 0.5869 0.1948
C 1.0477 3.7822 -1.4238
C 1.3034 3.2711 -2.8232
O 1.5426 3.8570 -3.8054
O 1.2791 1.8498 -2.7988
H -1.6810 1.0305 -3.2412
H -2.7213 2.8814 -2.3434
H -1.1675 3.4121 -2.9944
H -1.7609 2.4126 -0.1529
H -1.4748 4.1094 -0.5753
H -0.2444 3.2382 1.3960
H 1.4542 3.4395 0.9851
H 2.0265 3.8957 -0.9544
H 0.5817 4.7671 -1.4853
C -1.4781 -2.0908 4.7621
C -1.1935 -2.1070 3.2884
C -2.0840 -1.5136 2.3923
C -1.8624 -1.5148 1.0292
C -2.9556 -0.9991 0.1257
C -0.6904 -2.1484 0.5617
C 0.2135 -2.7900 1.4307
C 1.4529 -3.5038 0.9600
C -0.0636 -2.7412 2.7879
C -0.3104 -2.1519 -0.8339
O 0.1898 -2.8896 -1.5768
O -0.4959 -0.6763 -1.4847
H -1.8424 -1.1141 5.0791
H -0.5943 -2.3425 5.3439
H -2.2549 -2.8202 4.9997
H -2.9934 -1.0645 2.7744
H -3.6268 -0.3499 0.6854
H -3.5546 -1.8339 -0.2448
H -2.5998 -0.4544 -0.7459
H 2.0806 -2.8650 0.3335
H 1.2043 -4.3880 0.3731
H 2.0479 -3.8156 1.8141
H 0.6231 -3.2191 3.4752
N 5.9858 -2.9085 -3.7137
C 5.0391 -2.4770 -3.2271
N 3.9488 -1.9807 -2.6672
C 3.0888 -1.2392 -2.3860
N 2.1425 -0.5171 -2.0255
```

- Total charge: +2
- LUMO level: -0.3482 Ha
- DFT total energy: -41121.61453 eV
- ΔE to the lowest compared entry with this formula, charge and spin: 141.65 kJ/mol
- HOMO: -0.545 hartree
- Orbital gap: 5.36 eV

***

No. 2
C18H20N2O2RuS as an isolated structure at a distorted geometry. Source: the Open Molecules 2025 dataset; level of theory: ωB97M-V/def2-TZVPD.

Geometry as XYZ:
```
44
Properties=species:S:1:pos:R:3
Ru -0.4146 0.0569 0.0720
O -0.8400 0.1074 2.0053
C -1.0480 1.1559 2.7592
C -1.0557 0.9711 4.1592
C -1.3456 2.0086 5.0010
C -1.6465 3.2920 4.4995
C -1.6170 3.5044 3.1543
C -1.2911 2.4620 2.2496
C -1.2538 2.7803 0.8660
N -0.8551 1.9946 -0.0839
C -0.9959 2.4211 -1.4914
C -0.0477 1.5922 -2.3523
N -0.1155 0.1923 -1.9010
C 0.0777 -0.7778 -2.7301
C 0.0011 -2.1687 -2.4163
C 0.1579 -3.0852 -3.4845
C 0.0226 -4.4293 -3.2961
C -0.2916 -4.9132 -2.0121
C -0.4355 -4.0594 -0.9512
C -0.2761 -2.6678 -1.1142
O -0.3720 -1.9144 -0.0440
H -0.8429 -0.0213 4.5329
H -1.3482 1.8379 6.0700
H -1.8999 4.0977 5.1741
H -1.8386 4.4883 2.7566
H -1.5779 3.7841 0.5874
H -0.7899 3.4863 -1.6010
H -2.0222 2.2325 -1.8118
H 0.9743 1.9552 -2.2222
H -0.3133 1.6793 -3.4063
H 0.2928 -0.5228 -3.7691
H 0.3736 -2.6977 -4.4740
H 0.1508 -5.1132 -4.1231
H -0.4246 -5.9764 -1.8571
H -0.6723 -4.4224 0.0402
C 2.3432 -1.6477 0.5544
S 1.8384 0.0408 0.9141
C 2.8677 0.9156 -0.2712
H 3.3839 -1.7647 0.8542
H 2.2217 -1.8652 -0.5039
H 1.7086 -2.3019 1.1447
H 2.6949 0.5395 -1.2774
H 3.9115 0.7818 0.0078
H 2.6110 1.9713 -0.2081
```

- Total charge: +1
- <S²>: 0.779
- LUMO level (spin up / spin down): -0.1558 / -0.1664 Ha
- DFT total energy: -39477.66112 eV
- ΔE to the lowest compared entry with this formula, charge and spin: 0.00 kJ/mol
- Spin multiplicity: 2
- HOMO (spin up / spin down): -0.399 / -0.404 hartree
- Orbital gap (spin up / spin down): 6.62 / 6.46 eV

***

No. 3
One molecule with the formula C18H20N2O5 at a distorted geometry. Source: the Open Molecules 2025 dataset; level of theory: ωB97M-V/def2-TZVPD.

Geometry as XYZ:
```
45
Properties=species:S:1:pos:R:3
O -2.5245 -0.9089 -2.3572
C -2.0482 -0.6130 -1.2699
C -0.6764 -0.0680 -1.2411
C 0.1511 0.0328 -2.3316
C 1.3338 0.6592 -1.8885
C 1.1525 0.9054 -0.5581
C 2.0490 1.5421 0.4575
O 3.4143 1.3032 0.1965
C 3.9010 0.0512 0.2489
C 3.1677 -1.0753 0.6262
C 3.7635 -2.3201 0.6967
C 5.1098 -2.4845 0.4082
C 5.8553 -1.3856 0.0381
C 5.2640 -0.1306 -0.0539
N 6.0923 0.9670 -0.4817
O 5.5672 1.9320 -0.9879
O 7.2904 0.8398 -0.3251
O -0.0570 0.4657 -0.1551
N -2.7455 -0.7951 -0.1230
C -2.3203 -0.4537 1.2124